Simple Calculator In JavaScript

RMAG news


Anyone who can write this tutorial without seeing it.


os: linux

For Impatient people like me:

Link to repo

An Overview:

1.The program starts (Obviously!).
2.It asks the user to enter:
1) First Number.
2) Math Symbol(+,-,*,/,%).
3) Second Number.
3.According to the symbol entered by the user:
Operation is done on the two numbers and result is printed.


1.Create Project Folder ‘Simple-Calculator-In-Js’.
2.Create main.js inside Project Folder.
3.At the beginning of main.js, past this comment:

* Simple Calculator In JavaScript *

Pal: Ah! Why?
Me: Just for feel!

4.Now create a function called main().
This will be the entry-point to our app.

function main(){

5.Now, call it just below the main().


Ya! ya! ya! It does nothing!
Be patient, pal!

6.Now, install a module ‘readline-sync’ like this:

npm install readline-sync

Pal: Why do we need that!
Me: Just do what I say, cadet!
Do you need user input or not?

7.Import it into your code:

* Simple Calculator In JavaScript *

const readline = require(readline-sync);

function main(){

8.Now lets fill the main() func!

9.First, print the name of the app:

main() {
console.log(`Simple Calculator (ctrl + c for quit!)`);

Someone pasted data records at this point
! GGA-PBE Mg2Cd6In3, relaxed; values from VASP
! formation energy from the elements: 25 meV/atom
! DOS(E_F): 3.94 states/eV/f.u.
! final energy: -16.617 eV per formula unit
! space group: C2/m
! ρ: 6.54 g cm⁻³
&SYSTEM
  ibrav = 0, nat = 11, ntyp = 3
/
ATOMIC_SPECIES
Mg 24.30 Mg.upf
Cd 112.41 Cd.upf
In 114.82 In.upf
CELL_PARAMETERS angstrom
3.218 0.000 -0.859
0.247 11.255 0.927
0.280 1.072 7.507
ATOMIC_POSITIONS angstrom
Mg 3.161 11.681 5.388
Mg 0.584 0.646 2.187
Cd 3.387 2.925 6.233
Cd 2.628 9.522 3.388
Cd 2.078 3.284 1.330
Cd 0.358 9.401 1.342
Cd 1.117 2.804 4.187
Cd 1.667 9.042 6.245
In 1.383 5.588 5.183
In 2.362 6.738 2.392
In 0.124 5.627 0.463


! GGA-PBE LaSi2NiIr, relaxed; values from VASP
! DOS(E_F): 4.32 states/eV/f.u.
! ΔE_f (raw): -20.12 kcal/mol of atoms
! final energy: -34.779 eV per formula unit
! space group: I-4m2
! ρ: 8.59 g cm⁻³
&SYSTEM
  ibrav = 0, nat = 5, ntyp = 4
/
ATOMIC_SPECIES
La 138.91 La.upf
Si 28.09 Si.upf
Ni 58.69 Ni.upf
Ir 192.22 Ir.upf
CELL_PARAMETERS angstrom
-2.441 -3.284 -0.417

10.Start a loop for prompting the user again and again(after each operation):

main() {
console.log(`Simple Calculator (ctrl + c for quit!)`);

while(true) {

Disclaimer: If you just ran the code, then you may got your birthday present (infinite loop).
To break the loop, press: ctrl + c.

11.Take the three inputs:

while (true) {
//Take User Input
let num1 = Number(readline.question(`Enter first number:`));
let symbol = readline.question(`Enter symbol(+,-,*,/,%):`);
let num2 = Number(readline.question(`Enter second number:`));

Pal: That is a mouthful.
Me: Well, yep! But, lets break it down!

1)Ask the user for num1 using readline.question() and convert it into number by using Number() function and store it.
2)Ask the user for math symbol and store it.
3)Ask the user for num2 and convert it to number and store it!

12.Now, do the operation on the two numbers according to user’s entered symbol and print Result:

while (true) {
//Take User Input
let num1 = Number(readline.question(`Enter first number:`));
let symbol = readline.question(`Enter symbol(+,-,*,/,%):`);
let num2 = Number(readline.question(`Enter second number:`));

//Calculate According To User’s Choice
switch (symbol) {
case `+`:
console.log(`Result: ${num1 + num2}`);
case `-`:
console.log(`Result: ${num1 num2}`);
case `*`:
console.log(`Result: ${num1 * num2}`);
case `/`:
console.log(`Result: ${num1 / num2}`);
case `%`:
console.log(`Result: ${num1 % num2}`);
console.log(`Invalid symbol!`);

Me:That’s it!
Pal: Wait! wait! wait!
What is the default thing doing?
Me:Yeah! Think, pal!
If user enters a non-math-symbol, then:
Yell at user that it is an invalid symbol.